(Example of Establishing a Basic Stats Model for RPG Characters) 作者:艾孜麦提·阿迪力 时间:2024年3月29日 RPG角色基础数值模型建立示例 基础设定 1.角色【战士】【弓箭手】【法师】【牧师】 2.属性【攻击力】【防御力】【血量】 3.增长【每升一级所增加的属性值】 4.加成【每提升10级时,角色获得额外...
调用obj_player_stats的room_start_action动画,然后前往obj_player_stats记录的房间 然后运行游戏,在第一个房间先save存档,开始穿过传送门,打开Menu菜单load游戏,报一个错误 它的意思是想要读取的文件"file"没有被打开。回到scr_load_game脚本,发现原因是错误使用的save.txt的命名,将其修改为在25节中的文件命名“my...
RPG Rank:152 Num Ratings:98 Average Rating:7.12 Standard Deviation:2.07 Num Views:12957 GeekBuddy Analysis:Analyze Similarly Rated:View Avg. Game Weight:2.6 Fans:22 Personal Comments:12 Users Owning:159 Users Wanting:2 Users Trading:0[find trade matches] ...
Community Stats Own: 1 Wishlist: 1 For Trade: Find For Trade Matches 0 Want In Trade: Find Want in Trade Matches 0 Has Parts: 0 Wants Parts: 0 See All Stats BGG Item ID: 46501 Buy a Copy Stores eBay We may earn a commission when you buy through these links. GeekMarket...
Often as you discover unique weapons as you go through a game, it just comes with higher stats, which feels a bit boring. The thing is, it is easy to think of cool ideas *IN THEORY* - but often they would require plugins or a bunch of programming knowledge. I'm looking...
RPG(Rebounds per game): 场均篮板 APG(Assists per game): 场均助攻 SPG(Steals per game):场均抢断 BPG(Blocks per game):场均盖帽 前场篮板(offensive rebound):即进攻篮板,指攻方抢得的篮板,前场篮板争取二次进攻的机会。 后场篮板(defensive rebound):即防守篮板,指守方抢得的篮板,后场篮板赢得防守反击...
### Inserted here: data records
Below is an optimized crystal structure of PmZrAs2, with properties calculated at the PBE level.

Structure (POSCAR):
```
PmZrAs2
1.0
2.011 1.161 6.671
-2.011 1.161 6.671
0.000 -2.322 6.671
Pm Zr As
1 1 2
Direct
0.000 0.000 0.000 Pm
0.500 0.500 0.500 Zr
0.243 0.243 0.243 As
0.757 0.757 0.757 As
```

## Properties
* space group: R-3m, No. 166
* magnetization: 0.00 μB/cell

Below is an optimized crystal structure of PrAs5, with properties calculated at the PBE level.

Structure (POSCAR):
```
PrAs5
1.0
5.172 0.000 0.000
0.000 10.364 0.000
-1.311 0.000 5.710
Pr As
2 10
Direct
0.029 0.250 0.356 Pr
0.971 0.750 0.644 Pr
0.253 0.250 0.895 As
0.269 0.534 0.408 As
0.269 0.966 0.408 As
0.371 0.595 0.033 As
0.371 0.905 0.033 As
0.629 0.095 0.967 As
0.629 0.405 0.967 As
0.731 0.034 0.592 As
0.731 0.466 0.592 As
0.747 0.750 0.105 As
```

## Properties
* space group: P2_1/m, No. 11
* magnetization: 0.00 μB/cell

Below is an optimized crystal structure of Pr3As2, with properties calculated at the PBE level.

Structure (POSCAR):
```
Pr3As2
1.0
3.655 2.110 6.968
-3.655 2.110 6.968
0.000 -4.220 6.968
Pr As
6 4
Direct
0.078 0.750 0.422 Pr
0.250 0.578 0.922 Pr
0.422 0.078 0.750 Pr
0.578 0.922 0.250 Pr
0.750 0.422 0.078 Pr
0.922 0.250 0.578 Pr
0.162 0.162 0.162 As
0.338 0.338 0.338 As
0.662 0.662 0.662 As
0.838 0.838 0.838 As
```

## Properties
* space group: R-3c, No. 167
* magnetization: 0.00 μB/cell

Below is an optimized crystal structure of PrAs6, with properties calculated at the PBE level.

Structure (POSCAR):
```
PrAs6
1.0
-3.646 3.646 3.646
3.646 -3.646 3.646
3.646 3.646 -3.646
Pr As
1 6
Direct
0.000 0.000 0.000 Pr
0.250 0.500 0.750 As
0.250 0.750 0.500 As
0.500 0.250 0.750 As
0.500 0.750 0.250 As
0.750 0.250 0.500 As
0.750 0.500 0.250 As
```

## Properties
* space group: Im-3m, No. 229
* magnetization: 0.00 μB/cell

Listing energy of formation from the pure elements for the structures above in their given order: -1.314; -0.439; -1.068; 0.286 eV per atom.
Listing final energy for the structures above in their given order: -27.9; -61.3; -58.0; -30.7 eV for the cell shown.

~~~~~

Here is BaZnCl at its PBEsol-relaxed geometry from the Alexandria database. Energies are from meta-GGA SCAN.

- E (eV per atom) = -21.343
- space-group type = P3m1, No. 156
- crystal system = trigonal

Structure (CIF):
```
data_BaZnCl
_chemical_formula_sum 'Ba1 Zn1 Cl1'
_cell_length_a 5.157
_cell_length_b 5.157
_cell_length_c 4.496
_cell_angle_alpha 90.00
_cell_angle_beta 90.00
_cell_angle_gamma 120.00
_symmetry_space_group_name_H-M 'P 1'
_symmetry_Int_Tables_number 1
loop_
_symmetry_equiv_pos_as_xyz
'x,y,z'
loop_
_atom_site_label
_atom_site_fract_x
_atom_site_fract_y
_atom_site_fract_z
Ba1 0.000 0.000 0.000
Zn1 0.667 0.333 0.495
Cl1 0.333 0.667 0.977
```
Top 25 best RPGs for iPhone and iPad (iOS) Try to do the Abyss every single day, even if you aren't moving up the stages. Even the highest completed stage rewards will come in handy when you want to upgrade your units. Tip #3: Focus on one unit at a time ...
So, the current work regards designing and implementing a SG with various game features found in role-playing games (RPGs) that are tightly connected with the educational content through the game’s scenario, having as an ultimate goal to familiarize users with the basic concepts and terminology...
Character creation was pretty straight forward. My players found that traditional 3d6 rolls for stats, were a lot tougher than any of us remembered: a sign that most of us had grown soft using stat lines. The end result was the weak, and not so bright Thief, theveryweak Mage, and two...
Heck, I even have a Claymore that is "Blunt" element and also has its defense/attack stats switched around so that it can basically be used for tanking (instead of the 16 attack and 8 defense it would normally confer, it gives 4 attack and 20 defense). Without ...